‘Professor Watchlist’ Names Progressive Academics Who Supposedly Show a Liberal Bias

A conservative activist organization named Turning Point USA (TPUSA) has released a “Professor Watchlist” to provide information about university academics across the United States who “advance leftist propaganda in the classroom.” Turning Point—a nonprofit organization that promotes right-wing values of free markets and limited government and connects with young, college-age conservatives—targets nearly 200 professors for purportedly displaying liberal bias. The …

A New Look at the Role of Apps in Distracted Teen Driving

As parents, we share some really big milestones with our children. There’s riding a bike for the first time, braving the first day of school, or marching off to sleep-away camp. Source: Ben Harding/iStock And, of course, there’s the hugely anxiety-provoking and incredibly exciting moment of earning a driver’s license. It should also be borne in mind that young people often just …

Nika Knight – ‘Be Afraid’: Largest Corporations Wealthier Than Most Countries

Corporations are running the world, according to new figures released Monday from the U.K.-based Global Justice Now. “As multinationals increasingly dominate areas traditionally considered the primary domain of the state, we should be afraid.” —Aisha Dodwell, Global Justice Now The economic and social justice advocacy group discovered (spreadsheet) that the ten largest corporations are wealthier than most countries in the world combined. …

Karen Hansen-Kuhn – Building alternatives for food systems and trade

Public opposition to free trade agreements, like the Trans-Pacific Partnership (TPP), that serve to increase inequality and concentrate corporate power has reached a loud crescendo. We got to this point through years of effort by thousands of civil society groups around the world, reaching out to educate people on the likely impacts of the very specific rules embedded in those …

Sarah Lazare – A Surprise Shill for Big Pharma?

Patients groups have credibility and influence precisely because they ostensibly represent the ordinary people whose fate is in the hands of the health care system, from brain injury survivors to people living with cancer to individuals facing mental health problems. Now a troubling new report [3] from the corporate watchdog group Public Citizen reveals that some patients groups are accepting donations from the …

Candidate for UN health chief eyes global tax to help WHO

Calculated crystals from another source follow.
<<<
Here is a geometry-optimized CaTlHgSb2 structure from Alexandria via LeMat-Bulk. Energies are from PBE.

Properties
- DFT total energy: -2.23 eV per atom
- Total magnetic moment: 0.0 μB per cell

Cell and atoms, written as POSCAR:
```
CaTlHgSb2
1.0
5.7147 0.0000 0.0000
0.0000 5.9850 0.0000
0.0000 0.0000 5.7147
Sb Tl Ca Hg
2 1 1 1
direct
0.0000 0.0000 0.5000
0.5000 0.0000 0.0000
0.0000 0.0000 0.0000
0.0000 0.5000 0.0000
0.5000 0.5000 0.5000
```

* * * * *

First-principles (GGA-PBE) data for an optimized crystal structure of NbTc2MoIr, as listed in the Alexandria database.

Values from the calculation:
As for the calculated density: 9.7 g/cm³. The calculated formation energy is 1532 meV/atom. For the electronic total energy, the calculation gives -8.567 eV per atom.

Lattice parameters (Å, degrees): 4.5884 4.5884 4.6883 90.00 90.00 90.00
Fractional coordinates of all 5 atoms:
Nb (0.0000, 0.0000, 0.0000)
>>>
The calculated crystals stop here.

A French diplomat competing to be the world’s top health official says a tiny international tax can help fill the World Health Organization’s coffers, a proposal aimed at bringing order to the U.N. agency’s fragmented budget. Dr. Philippe Douste-Blazy told journalists at the Foreign Ministry in Paris that “micropayments” tacked on to as-yet-undetermined international business operations could support WHO’s budget. …

What I Learned From My March With Democracy Spring

Yesterday was the most important day of my life. I walked up to the Capitol building and sat on the steps with more than 400 people. When asked to move, we refused and were arrested. We committed nonviolent civil disobedience together to protest the power of money in politics and support the restoration of real democracy. I was arrested in …

Diane Ravitch – Why Every Child Should Opt Out of the Standardized Tests

Want to end the obsession with standardized testing? Opt your children out of the state tests. Ignore the threats from state and federal officials. The tests today have taken over too much of the school year. Teachers should prepare and give tests that cover what they taught. What if all students opted out of testing? That’s democracy in action. The elected officials …

Paul Craig Roberts – Are Americans Too Insouciant To Survive?

When one looks at the deplorable state of the world, one cannot help but wonder at the insouciance of the American people. Where are they? Do they exist or are they a myth? Have they been put to sleep by an evil demon? Are they so lost in The Matrix that they cannot get out? Ever since Clinton’s second term …